• Given:
Diffraction record for Sm12Tm2Sc. The XRD peak list is calculated, not measured: it uses DFT lattice parameters and positions (GGA-PBE) and λ = 1.5418 Å (Cu Kα).
Intensities are scaled so that the largest is 100.

Peak list (10 most intense, 10 to 80 degrees two-theta, in order of falling intensity)
2θ 28.45, 3.137 Å, I = 100, (2 0 2); 2θ 32.71, 2.737 Å, I = 84, (2 1 3); 2θ 31.08, 2.877 Å, I = 73, (2 0 4); 2θ 31.81, 2.813 Å, I = 64, (1 1 7); 2θ 55.78, 1.648 Å, I = 53, (3 1 9); 2θ 39.31, 2.292 Å, I = 44, (2 2 0); 2θ 37.84, 2.378 Å, I = 39, (2 1 6); 2θ 29.00, 3.079 Å, I = 38, (1 1 6); 2θ 32.31, 2.771 Å, I = 37, (0 0 9); 2θ 29.58, 3.020 Å, I = 31, (2 0 3)

```
data_Sm12Tm2Sc
_chemical_formula_sum 'Sm24 Tm4 Sc2'
_space_group_name_H-M_alt 'P 4/n b m'
_space_group_IT_number 125
_cell_length_a 6.4828
_cell_length_b 6.4828
_cell_length_c 24.9374
_cell_angle_alpha 90.00
_cell_angle_beta 90.00
_cell_angle_gamma 90.00
loop_
_space_group_symop_operation_xyz
'x,y,z'
'-x,-y,-z'
'-y+1/2,x,z'
'y+1/2,-x,-z'
'-x+1/2,-y+1/2,z'
'x+1/2,y+1/2,-z'
'y,-x+1/2,z'
'-y,x+1/2,-z'
'x,-y+1/2,-z'
'-x,y+1/2,z'
'-y+1/2,-x+1/2,-z'
'y+1/2,x+1/2,z'
'-x+1/2,y,-z'
'x+1/2,-y,z'
'y,x,-z'
'-y,-x,z'
loop_
_atom_site_label
_atom_site_type_symbol
_atom_site_fract_x
_atom_site_fract_y
_atom_site_fract_z
Sm1 Sm 0.0646 0.5646 0.1089
Sm2 Sm 0.0818 0.5818 0.4369
Sm3 Sm 0.2500 0.2500 0.2113
Sm4 Sm 0.2500 0.2500 0.3350
Tm1 Tm 0.2500 0.7500 0.2700
Sc1 Sc 0.2500 0.7500 0.0000
```


Diffraction record for Sm3Tm4Sc4. The XRD peak list is calculated, not measured: it uses DFT lattice parameters and positions (GGA-PBE) and λ = 1.5418 Å (Cu Kα).
Intensities are scaled so that the largest is 100.

Peak list (10 most intense, 10 to 80 degrees two-theta, in order of falling intensity)
2θ 33.25, 2.695 Å, I = 100, (2 1 3); 2θ 32.75, 2.734 Å, I = 37, (0 2 0); 2θ 25.14, 3.542 Å, I = 29, (2 1 1); 2θ 32.08, 2.790 Å, I = 28, (3 1 1); 2θ 58.78, 1.571 Å, I = 22, (2 3 3); 2θ 31.73, 2.820 Å, I = 16, (1 0 4); 2θ 29.42, 3.036 Å, I = 15, (1 1 3); 2θ 35.45, 2.532 Å, I = 15, (4 0 0); 2θ 49.02, 1.858 Å, I = 15, (4 2 0); 2θ 17.89, 4.957 Å, I = 12, (0 1 1)

```
data_Sm3Tm4Sc4
_chemical_formula_sum 'Sm6 Tm8 Sc8'
_space_group_name_H-M_alt 'A m m 2'
_space_group_IT_number 38
_cell_length_a 10.1275
_cell_length_b 5.4684
_cell_length_c 11.7428
_cell_angle_alpha 90.00
_cell_angle_beta 90.00
_cell_angle_gamma 90.00
loop_
_space_group_symop_operation_xyz
'x,y,z'
'-x,-y,z'
'-x,y,z'
'x,-y,z'
'x,y+1/2,z+1/2'
'-x,-y+1/2,z+1/2'
'-x,y+1/2,z+1/2'
'x,-y+1/2,z+1/2'
loop_
_atom_site_label
_atom_site_type_symbol
_atom_site_fract_x
_atom_site_fract_y
_atom_site_fract_z
Sm1 Sm 0.0000 0.0000 0.0000
Sm2 Sm 0.3037 0.0000 0.1417
Tm1 Tm 0.0000 0.0000 0.2997
Tm2 Tm 0.2829 0.0000 0.8388
Tm3 Tm 0.5000 0.0000 0.3720
Sc1 Sc 0.0000 0.0000 0.6909
Sc2 Sc 0.2141 0.0000 0.5027
Sc3 Sc 0.5000 0.0000 0.6351
```


Diffraction record for Sm3Tm8Sc3. The XRD peak list is calculated, not measured: it uses DFT lattice parameters and positions (GGA-PBE) and λ = 1.5418 Å (Cu Kα).
Intensities are scaled so that the largest is 100.

Peak list (10 most intense, 10 to 80 degrees two-theta, in order of falling intensity)
2θ 36.44, 2.465 Å, I = 100, (1 2 5); 2θ 31.03, 2.882 Å, I = 93, (1 0 5); 2θ 29.59, 3.019 Å, I = 83, (1 2 3); 2θ 18.64, 4.760 Å, I = 83, (0 2 0); 2θ 33.42, 2.681 Å, I = 81, (2 0 0); 2θ 34.48, 2.601 Å, I = 33, (1 3 2); 2θ 63.26, 1.470 Å, I = 32, (1 6 3); 2θ 44.58, 2.032 Å, I = 32, (1 4 3); 2θ 18.99, 4.672 Å, I = 31, (1 1 0); 2θ 32.79, 2.731 Å, I = 28, (1 3 0)

```
data_Sm3Tm8Sc3
_chemical_formula_sum 'Sm6 Tm16 Sc6'
_space_group_name_H-M_alt 'I m m m'
_space_group_IT_number 71
_space_group_name_Hall '-I 2 2'
_cell_length_a 5.3625
_cell_length_b 9.5201
_cell_length_c 17.0885
_cell_angle_alpha 90.00
_cell_angle_beta 90.00
_cell_angle_gamma 90.00
loop_
_atom_site_label
_atom_site_type_symbol
_atom_site_fract_x
_atom_site_fract_y
_atom_site_fract_z
Sm1 Sm 0.0000 0.0000 0.0000
Sm2 Sm 0.0000 0.2402 0.5000
Tm1 Tm 0.0000 0.1582 0.2982
• What to do:
Quote all of the notes further up word for word.
• Completed:
Diffraction record for Sm12Tm2Sc. The XRD peak list is calculated, not measured: it uses DFT lattice parameters and positions (GGA-PBE) and λ = 1.5418 Å (Cu Kα).
Intensities are scaled so that the largest is 100.

Peak list (10 most intense, 10 to 80 degrees two-theta, in order of falling intensity)
2θ 28.45, 3.137 Å, I = 100, (2 0 2); 2θ 32.71, 2.737 Å, I = 84, (2 1 3); 2θ 31.08, 2.877 Å, I = 73, (2 0 4); 2θ 31.81, 2.813 Å, I = 64, (1 1 7); 2θ 55.78, 1.648 Å, I = 53, (3 1 9); 2θ 39.31, 2.292 Å, I = 44, (2 2 0); 2θ 37.84, 2.378 Å, I = 39, (2 1 6); 2θ 29.00, 3.079 Å, I = 38, (1 1 6); 2θ 32.31, 2.771 Å, I = 37, (0 0 9); 2θ 29.58, 3.020 Å, I = 31, (2 0 3)

```
data_Sm12Tm2Sc
_chemical_formula_sum 'Sm24 Tm4 Sc2'
_space_group_name_H-M_alt 'P 4/n b m'
_space_group_IT_number 125
_cell_length_a 6.4828
_cell_length_b 6.4828
_cell_length_c 24.9374
_cell_angle_alpha 90.00
_cell_angle_beta 90.00
_cell_angle_gamma 90.00
loop_
_space_group_symop_operation_xyz
'x,y,z'
'-x,-y,-z'
'-y+1/2,x,z'
'y+1/2,-x,-z'
'-x+1/2,-y+1/2,z'
'x+1/2,y+1/2,-z'
'y,-x+1/2,z'
'-y,x+1/2,-z'
'x,-y+1/2,-z'
'-x,y+1/2,z'
'-y+1/2,-x+1/2,-z'
'y+1/2,x+1/2,z'
'-x+1/2,y,-z'
'x+1/2,-y,z'
'y,x,-z'
'-y,-x,z'
loop_
_atom_site_label
_atom_site_type_symbol
_atom_site_fract_x
_atom_site_fract_y
_atom_site_fract_z
Sm1 Sm 0.0646 0.5646 0.1089
Sm2 Sm 0.0818 0.5818 0.4369
Sm3 Sm 0.2500 0.2500 0.2113
Sm4 Sm 0.2500 0.2500 0.3350
Tm1 Tm 0.2500 0.7500 0.2700
Sc1 Sc 0.2500 0.7500 0.0000
```


Diffraction record for Sm3Tm4Sc4. The XRD peak list is calculated, not measured: it uses DFT lattice parameters and positions (GGA-PBE) and λ = 1.5418 Å (Cu Kα).
Intensities are scaled so that the largest is 100.

Peak list (10 most intense, 10 to 80 degrees two-theta, in order of falling intensity)
2θ 33.25, 2.695 Å, I = 100, (2 1 3); 2θ 32.75, 2.734 Å, I = 37, (0 2 0); 2θ 25.14, 3.542 Å, I = 29, (2 1 1); 2θ 32.08, 2.790 Å, I = 28, (3 1 1); 2θ 58.78, 1.571 Å, I = 22, (2 3 3); 2θ 31.73, 2.820 Å, I = 16, (1 0 4); 2θ 29.42, 3.036 Å, I = 15, (1 1 3); 2θ 35.45, 2.532 Å, I = 15, (4 0 0); 2θ 49.02, 1.858 Å, I = 15, (4 2 0); 2θ 17.89, 4.957 Å, I = 12, (0 1 1)

```
data_Sm3Tm4Sc4
_chemical_formula_sum 'Sm6 Tm8 Sc8'
_space_group_name_H-M_alt 'A m m 2'
_space_group_IT_number 38
_cell_length_a 10.1275
_cell_length_b 5.4684
_cell_length_c 11.7428
_cell_angle_alpha 90.00
_cell_angle_beta 90.00
_cell_angle_gamma 90.00
loop_
_space_group_symop_operation_xyz
'x,y,z'
'-x,-y,z'
'-x,y,z'
'x,-y,z'
'x,y+1/2,z+1/2'
'-x,-y+1/2,z+1/2'
'-x,y+1/2,z+1/2'
'x,-y+1/2,z+1/2'
loop_
_atom_site_label
_atom_site_type_symbol
_atom_site_fract_x
_atom_site_fract_y
_atom_site_fract_z
Sm1 Sm 0.0000 0.0000 0.0000
Sm2 Sm 0.3037 0.0000 0.1417
Tm1 Tm 0.0000 0.0000 0.2997
Tm2 Tm 0.2829 0.0000 0.8388
Tm3 Tm 0.5000 0.0000 0.3720
Sc1 Sc 0.0000 0.0000 0.6909
Sc2 Sc 0.2141 0.0000 0.5027
Sc3 Sc 0.5000 0.0000 0.6351
```


Diffraction record for Sm3Tm8Sc3. The XRD peak list is calculated, not measured: it uses DFT lattice parameters and positions (GGA-PBE) and λ = 1.5418 Å (Cu Kα).
Intensities are scaled so that the largest is 100.

Peak list (10 most intense, 10 to 80 degrees two-theta, in order of falling intensity)
2θ 36.44, 2.465 Å, I = 100, (1 2 5); 2θ 31.03, 2.882 Å, I = 93, (1 0 5); 2θ 29.59, 3.019 Å, I = 83, (1 2 3); 2θ 18.64, 4.760 Å, I = 83, (0 2 0); 2θ 33.42, 2.681 Å, I = 81, (2 0 0); 2θ 34.48, 2.601 Å, I = 33, (1 3 2); 2θ 63.26, 1.470 Å, I = 32, (1 6 3); 2θ 44.58, 2.032 Å, I = 32, (1 4 3); 2θ 18.99, 4.672 Å, I = 31, (1 1 0); 2θ 32.79, 2.731 Å, I = 28, (1 3 0)

```
data_Sm3Tm8Sc3
_chemical_formula_sum 'Sm6 Tm16 Sc6'
_space_group_name_H-M_alt 'I m m m'
_space_group_IT_number 71
_space_group_name_Hall '-I 2 2'
_cell_length_a 5.3625
_cell_length_b 9.5201
_cell_length_c 17.0885
_cell_angle_alpha 90.00
_cell_angle_beta 90.00
_cell_angle_gamma 90.00
loop_
_atom_site_label
_atom_site_type_symbol
_atom_site_fract_x
_atom_site_fract_y
_atom_site_fract_z
Sm1 Sm 0.0000 0.0000 0.0000
Sm2 Sm 0.0000 0.2402 0.5000
Tm1 Tm 0.0000 0.1582 0.2982